Whereas two
new congregations have been organised within the bounds of this
Presbytery, each in Gibson Co., known as Milan and Beach
Grove and whereas said congregations promise conformity to the
Rules and Regulations of the Cumberland Presbyterian Church and
to support the Gospel as God may enable them and being present
by their Representatives H. A. McCrackin from Milan and
W. M. Summons from Beach Grove praying to be received under the
care of this Presbytery. Therefore Resolved that said prayer be
granted and the names of the Representatives enrolled.
[Source: Minutes of the Hopewell Presbytery of the
Cumberland Presbyterian Church, October 3, 1874, page 267]
Elder representative
- J. T. Weatherford
Hopewell Presbytery
[Source: Minutes of the Hopewell Presbytery of the
Cumberland Presbyterian Church, April 3, 1875, page 281]
Elder representative
- W. R. Burnett
Hopewell Presbytery
[Source: Minutes of the Hopewell Presbytery of the
Cumberland Presbyterian Church, October 2, 1875, page 295]
Elder representative
- J. T. Wetherford
Hopewell Presbytery
[Source: Minutes of the Hopewell Presbytery of the
Cumberland Presbyterian Church, April 1, 1876, page 308]
Elder representative
- J. T. Wetherford
Hopewell Presbytery
[Source: Minutes of the Hopewell Presbytery of the
Cumberland Presbyterian Church, September 23, 1876, page 320]
Elder representative
- J. T. Wetherford
Hopewell Presbytery
[Source: Minutes of the Hopewell Presbytery of the
Cumberland Presbyterian Church, March 24, 1877, page 334]
Milan not
Hopewell Presbytery
[Source: Minutes of the Hopewell Presbytery of the
Cumberland Presbyterian Church, September 22, 1877, page 348]
Elder representative
- J. T. Wetherford
Hopewell Presbytery
[Source: Minutes of the Hopewell Presbytery of the
Cumberland Presbyterian Church, March 23, 1878, page 361]
Milan not
Hopewell Presbytery
[Source: Minutes of the Hopewell Presbytery of the
Cumberland Presbyterian Church, September 21, 1878, page 370]
Elder representative
- E. P. McGaughey
Hopewell Presbytery
[Source: Minutes of the Hopewell Presbytery of the
Cumberland Presbyterian Church, September 27, 1879, page 4]
Elder representative
- W. H. H. Bledsoe
Hopewell Presbytery
[Source: Minutes of the Hopewell Presbytery of the
Cumberland Presbyterian Church, March 27, 1880, page 4]
Elder representative
- D. F. C. Rankin
Hopewell Presbytery
permission, Rev. F. P. Flaniken addressed the Presbytery in behalf
of the Church at Milan.
Milan: 24 Communicates.
Your Committee on Church Records report that we have
examined the records of the following churches: Milan.
[Source: Minutes of the Hopewell Presbytery of the
Cumberland Presbyterian Church, September 25, 1880, pages
4, 8, 12 & 14]
Elder representative
- E. P. McGaughey
Hopewell Presbytery
[Source: Minutes of the Hopewell Presbytery of the
Cumberland Presbyterian Church, March 26, 1881, page 4]
Elder representative
- S. W. Harris
Hopewell Presbytery
[Source: Minutes of the Hopewell Presbytery of the
Cumberland Presbyterian Church, September 24, 1881, page 4]
Milan not
Hopewell Presbytery
opportunity was given for persons wishing to converse with Presbytery
as to an internal call to the ministry, whereupon Bro.
E. P. McGaughey presented himself and after relating his
experience was taken under care of the Presbytery.
funds collected last night were turned over to the mission at
An oral communication
was received as to the church property of Hopewell congregation,
and Elders E. P. McGaughey and W. H. Bobbitt was appointed a committee
to look after and dispose of it and apply the proceeds to the
Milan mission.
[Source: Minutes
of the Hopewell Presbytery of the Cumberland Presbyterian Church,
March 25, 1882, pages 2, 4 & 5-6]
Elder representative
- J. P. Wetherford
Hopewell Presbytery
was selected as the place for the next meeting of Presbytery.
The dues from Milan congregation for the past year
were donated to that church.
Committee on Missions
report: Milan is moving on with her church house.
number of communicates: 34.
Minutes of the Hopewell Presbytery of the Cumberland Presbyterian
Church, October 7, 1882, pages 2, 3, 6, 9 & 11]
Presbytery of the Cumberland Presbyterian Church met pursuant
to adjournment in Milan, Gibson co. Tenn. on Saturday, March 24,
1883, at 11 o'clock A.M.
Elder representative -
A. A. Davidson
Your committee are pleased to report
Milan, a missionary point under your care, as doing well. She
reports in communion, 35, and as having paid on her church house
$1659.22; Cash on hand, $170.00; Amount yet necessary to complete
the building, $250.00.
Minutes of the Hopewell Presbytery of the Cumberland Presbyterian
Church, March 24, 1883, pages 2 & 11]
Elder representative
- J. P. Wetherford
Hopewell Presbytery
[Source: Minutes of the Hopewell Presbytery of the
Cumberland Presbyterian Church, October 13, 1883, page 2]
Elder representative
- J. P. Weatherford
Hopewell Presbytery
[Source: Minutes of the Hopewell Presbytery of the
Cumberland Presbyterian Church, March 22, 1884, pages 2 &
Elder representative
- S. W. Harris
As Cor. Secretary of the Board of
Missions for Hopewell Presbytery, I submit the following as my
second semi-annual report for the current year. Milan, J. D. Lewis,
pastor. H. & F. M. $37.
Treasurer's Report:
Milan, Total in Communion: 35.
Minutes of the Hopewell Presbytery of the Cumberland Presbyterian
Church, October 11, 1884, page 4, 9-10]
Elder representative
- A. A. Davidson
Hopewell Presbytery
Report: Milan, Rev. J. D. Lewis, 65 members
[Source: Minutes of the Hopewell Presbytery of the
Cumberland Presbyterian Church, March 21, 1885, pages 2 &
Elder representative
- J. M. Dixon
Hopewell Presbytery
communication from Milan congregation asking for the installation
of the Rev. J. D. Lewis as their pastor was read. On motion, said
request was granted, and the fifth Sabbath in November was fixed
as the day for the installation service. The Rev. A. E. Cooper
was appointed to preach the installation sermon, and the Revs.
S. O. Wood and T. W. Cannon to give the charge.
[Source: Minutes of the Hopewell Presbytery of the
Cumberland Presbyterian Church, October 10, 1885, pages 2
& 5]
Elder representative
- J. P. Wetherford
Hopewell Presbytery
from Elders: Milan, Rev. J. D. Lewis, Am't paid Pastor $400.00,
Numb. of members 75
[Source: Minutes
of the Hopewell Presbytery of the Cumberland Presbyterian Church,
March 27, 1886, pages 3 & 9]
Milan not
Hopewell Presbytery
[Source: Minutes of the Hopewell Presbytery of the
Cumberland Presbyterian Church, October
9, 1886, page 2]
Elder representative
- John M. Dickson
Hopewell Presbytery
of Corresponding Secretary of the Board of Missions: Milan, Rev.
J. D. Lewis, pastor.
[Source: Minutes
of the Hopewell Presbytery of the Cumberland Presbyterian Church,
March 26, 1887, pages 2 & 13]
Elder representative
- J. M. Dickson
Hopewell Presbytery
Milan congregation memorialize the Presbytery as follows:
Whereas, The Rev. J. D. Lewis, formerly an ordained
minister of this Presbytery, but now a resident of California,
was regularly installed pastor of the Milan congregation by authority
of the body, and
Whereas, Said J. D. Lewis did,
on last December, tender his resignation as pastor of said Milan
congregation, and
Whereas, Said resignation was
accepted in due form by the session of said congregation;
Therefore, Your petitioners pray your honorable body
to dissolve the former pastoral relation between said Rev. J.
D. Lewis and the Milan Congregation. John M. Dickson, Clk. of
The memorial was granted.
[Source: Minutes of the Hopewell Presbytery of the
Cumberland Presbyterian Church, October
5, 1888, pages 3 & 7]
Milan not
Hopewell Presbytery
[Source: Minutes of the Hopewell Presbytery of the
Cumberland Presbyterian Church, March 22, 1889, page 2]
Milan not
Hopewell Presbytery
[Source: Minutes of the Hopewell Presbytery of the
Cumberland Presbyterian Church, October 4, 1889, page 2]
Elder representative
- J. M. Dickson
Hopewell Presbytery
[Source: Minutes of the Hopewell Presbytery of the
Cumberland Presbyterian Church, March 21, 1890, page 2]
Milan not
Hopewell Presbytery
[Source: Minutes of the Hopewell Presbytery of the
Cumberland Presbyterian Church, October 3, 1890, page 2]
Elder representative
- John M. Dickson
Hopewell Presbytery
[Source: Minutes of the Hopewell Presbytery of the
Cumberland Presbyterian Church, March 20, 1891, page 2]
Elder representative
- D. C. Caldwell
Hopewell Presbytery
[Source: Minutes of the Hopewell Presbytery of the
Cumberland Presbyterian Church, October 2, 1891, page 3]
Milan not
Hopewell Presbytery
for Ministerial services were ratified between the following ministers
and congregations: E. L. McWilliams.
Minutes of the Hopewell Presbytery of the Cumberland Presbyterian
Church, March 23, 1892, pages 3 & 9]
Milan not
Hopewell Presbytery
[Source: Minutes of the Hopewell Presbytery of the
Cumberland Presbyterian Church, October 1, 1892, page 2]
Elder representative
- John M. Dickson
Hopewell Presbytery
[Source: Minutes of the Hopewell Presbytery of the
Cumberland Presbyterian Church, September 30, 1893, page 2]
Elder representative
- John M. Dickson
Hopewell Presbytery
[Source: Minutes of the Hopewell Presbytery of the
Cumberland Presbyterian Church, March 24, 1894, page 2]
No minutes
for this meeting in archives: October 6, 1894 in Manlyville, Henry
county, Tenn.
Elder representative
- D. C. Caldwell
Hopewell Presbytery - held at
Milan, Tennessee
[Source: Minutes
of the Hopewell Presbytery of the Cumberland Presbyterian Church,
March 23, 1895, page 4]
Elder representative
- J. R. Harrison
Hopewell Presbytery
[Source: Minutes of the Hopewell Presbytery of the
Cumberland Presbyterian Church, October 5, 1895, page 3]
Elder representative
- R. E. Goldsby
Hopewell Presbytery
[Source: Minutes of the Hopewell Presbytery of the
### Records of molecules from another source follow
'''
This record from OMol25 describes the molecule C7H10S. The level of theory is the ωB97M-V functional and the def2-TZVPD basis.

```
18
Properties=species:S:1:pos:R:3:forces:R:3:nbo_charge:R:1
C 1.39419 -1.70254 0.17225 0.7 -0.6 0.4 -0.3366
C 0.12719 -2.09045 0.03325 -0.3 1.7 -1.7 -0.2555
C -0.67961 -0.82485 -0.46356 -2.8 -1.4 4.0 -0.2600
C -2.16096 -0.39068 -0.06078 1.0 1.5 -0.3 -0.4245
C -0.86710 0.47946 0.28980 -0.5 -1.8 2.3 -0.2438
C -0.05943 1.69145 -0.11506 -1.7 0.8 -0.8 -0.4186
C 1.42742 1.41828 0.11291 0.9 -0.6 -0.8 -0.5282
S 2.30499 -0.22666 -0.18781 -0.6 0.1 -0.5 0.1916
H 2.14386 -2.43201 0.45600 0.2 -0.2 -0.2 0.2167
H -0.06596 -3.21424 -0.13167 -0.3 2.1 0.7 0.2403
H -0.47361 -0.46030 -1.38561 0.7 0.1 -3.4 0.2035
H -2.87934 0.05437 -0.95867 1.6 -1.7 2.8 0.2333
H -2.46884 -0.80880 1.04140 -0.1 0.9 -3.5 0.2414
H -0.82844 0.37475 1.38804 0.5 0.0 -0.4 0.1984
H -0.15163 2.58410 0.62238 -0.8 -1.2 -1.6 0.2350
H -0.39250 1.98928 -1.25811 1.3 -0.4 2.8 0.2101
H 1.78374 2.08702 -0.72774 1.1 -0.6 1.7 0.2518
H 1.84603 1.47183 1.17297 -1.1 1.3 -1.5 0.2450
```
Forces are in eV/Å.

The value obtained for the LUMO energy is 0.87 eV. As for the structure (SMILES): C1=C[C@H]2C[C@@H]2CCS1. As for the HOMO energy: -8.23 eV. As for the energy relative to the best compared isomer or geometry (same formula, charge and spin): 453.0 kJ/mol. As for the charge: 0. The strongest force on any atom is 5.008 eV/Å.



This record from OMol25 describes the molecule C7H10S3. The level of theory is the ωB97M-V functional and the def2-TZVPD basis.

```
20
Properties=species:S:1:pos:R:3:forces:R:3:nbo_charge:R:1
C 0.55065 1.23724 1.87864 -3.1 -1.2 -1.6 -0.6178
C 0.74091 0.56717 0.46273 0.2 0.3 0.7 -0.1484
C 1.53807 1.33286 -0.59975 0.0 -1.2 -0.6 -0.6378
S 2.02201 -0.71075 0.92523 -0.1 -1.3 0.0 0.0834
S 2.15176 -1.97763 -0.73481 -0.3 0.4 0.8 -0.1349
C -0.51147 -0.06599 0.00442 -0.2 0.3 0.1 -0.2270
C -0.81450 -0.58940 -1.22010 -0.5 0.2 -1.6 -0.2643
C -2.12635 -1.10621 -1.23821 -1.2 -0.5 1.1 -0.2429
C -2.80648 -1.01444 -0.04904 4.8 1.3 -1.6 -0.4229
S -1.87235 -0.20402 1.08322 1.0 0.1 0.2 0.4593
H 1.48461 1.36875 2.28493 2.1 0.3 1.4 0.2148
H -0.12472 0.50834 2.48552 1.6 1.5 -0.6 0.2253
H 0.06318 2.22443 1.79894 0.0 -0.5 0.0 0.2267
H 2.40918 1.56833 -0.03046 0.8 1.2 -0.1 0.2207
H 1.11521 2.14023 -1.21556 -0.2 -0.2 0.6 0.2210
H 1.91214 0.50922 -1.26205 -0.5 1.0 0.0 0.2242
H 0.96918 -2.58578 -0.50458 0.2 -0.1 -0.1 0.1409
H -0.31577 -0.51612 -2.22761 0.1 0.0 1.7 0.2458
H -2.64038 -1.55940 -2.04116 -0.1 -0.3 -1.1 0.2176
H -3.74486 -1.12682 0.19967 -4.8 -1.2 0.8 0.2162
```
Forces are in eV/Å.

The value obtained for the LUMO energy is 0.55 eV. As for the structure (SMILES): CC(C)(SS)c1cccs1. As for the HOMO energy: -8.70 eV. As for the energy relative to the best compared isomer or geometry (same formula, charge and spin): 14.6 kJ/mol. As for the charge: 0. The strongest force on any atom is 5.265 eV/Å.
'''
Cumberland Presbyterian Church, March 26, 1897, pages 4 &
Milan not
Hopewell Presbytery
[Source: Minutes of the Hopewell Presbytery of the
Cumberland Presbyterian Church, September 30, 1897, page 5]
Milan not
Hopewell Presbytery
the contract between Rev. J. B. Oakley and Milan Church be ratified,
Brother Oakley giving said church the whole of his time at a salary
of $500 a year and parsonage.
Minutes of the Hopewell Presbytery of the Cumberland Presbyterian
Church, March 26, 1898, pages 4 & 16]
No list of
elders included in these minutes.
Minutes of the Hopewell Presbytery of the Cumberland Presbyterian
Church, September 28, 1898]
Elder representative
- J. R. Harrison
Hopewell Presbytery
committee has official information that the Rev. J. B. Oakley
and the Milan congregation have made a contract for one year,
beginning January 1, 1899, at a consideration of five hundred
dollars and use of manse.
== Next to the article, the page also holds quantum chemistry results ==
+++
(1)
Here is C20H30BeF9HfNO13Zn as an isolated structure from the OMol25 dataset. Energies are from ωB97M-V with the def2-TZVPD basis set.

Geometry as XYZ:
```
76
Properties=species:S:1:pos:R:3:forces:R:3
Zn -1.834 -2.358 -0.650 -0.14 0.58 2.09
Hf 3.152 1.631 -2.132 -7.55 -0.74 9.23
Be 0.099 -3.961 -0.406 1.47 1.59 6.16
C -0.137 -2.584 2.216 0.07 1.89 -3.29
O 1.012 -3.181 1.748 2.75 -1.77 0.97
O -0.878 -2.990 1.122 -3.51 -1.37 -3.36
C -0.709 -2.844 3.636 0.85 -1.07 0.62
F -1.183 -4.072 3.747 -0.16 0.04 -0.21
F 0.307 -2.700 4.495 0.43 -0.04 -0.14
F -1.634 -1.976 4.057 -0.27 0.21 -1.05
C 2.342 -2.698 2.020 -0.50 -0.80 0.60
C 3.303 -3.751 1.495 0.56 0.93 -0.35
H 4.244 -3.470 1.971 0.28 -0.56 -0.20
H 3.078 -4.805 1.646 -0.26 0.20 0.72
H 3.447 -3.657 0.413 0.00 0.20 0.00
H 2.437 -2.541 3.094 0.15 -0.12 0.01
H 2.482 -1.735 1.520 0.03 0.04 -0.03
H 0.027 -1.514 2.036 -0.18 0.52 1.12
C -0.713 -4.653 -2.712 -0.59 1.50 -3.32
O -0.702 -3.581 -3.630 0.84 -0.05 0.09
O -0.741 -3.967 -1.484 -2.19 -0.88 -0.74
C -1.940 -5.502 -3.184 -1.21 -1.43 2.60
F -3.120 -4.943 -2.831 0.58 0.77 -0.46
F -1.925 -5.798 -4.454 0.42 0.68 -0.15
F -1.923 -6.663 -2.492 0.51 0.15 -0.08
C 0.501 -3.476 -4.425 0.30 -1.69 -1.04
C 0.277 -2.467 -5.495 -0.75 1.87 0.30
H -0.653 -2.671 -6.024 0.07 -0.11 -0.05
H 0.138 -1.500 -4.991 -0.32 0.11 -0.02
H 1.039 -2.215 -6.230 0.38 -0.92 0.13
H 0.624 -4.451 -4.907 0.16 -0.06 0.04
H 1.412 -3.329 -3.834 -0.19 0.32 0.37
H 0.153 -5.312 -2.794 0.16 0.10 0.21
C 2.557 2.175 1.426 -0.82 3.64 -0.41
O 2.435 3.527 1.078 -0.57 0.56 -0.36
O 2.879 1.624 0.170 2.28 -1.34 -5.19
C 3.544 2.174 2.637 1.79 -2.34 -0.61
F 4.733 2.693 2.405 -0.23 0.96 -0.64
F 3.032 2.745 3.710 -0.42 -0.42 -0.58
F 3.815 0.859 2.818 -0.68 -0.25 0.78
C 1.344 4.252 1.663 -0.32 1.27 0.97
C 1.270 5.690 1.155 0.97 -0.10 -0.37
H 0.536 6.258 1.724 -0.28 -0.17 -0.24
H 2.194 6.265 1.246 0.21 -0.36 0.45
H 1.109 5.727 0.075 -0.59 -0.04 0.02
H 1.491 4.267 2.745 0.06 0.04 -0.01
H 0.353 3.810 1.515 0.21 -0.64 -0.40
H 1.565 1.846 1.756 0.17 -0.80 -0.02
N 0.981 -1.088 -1.205 1.62 -3.43 2.39
O 1.666 -2.012 -0.742 -0.35 0.59 -1.17
O 1.602 -0.106 -1.723 1.36 2.74 -2.01
O -0.225 -1.120 -1.065 -0.29 2.19 -1.45
O 1.100 2.625 -1.865 3.48 -1.10 -1.21
C 0.056 3.347 -1.807 0.39 1.20 0.38
O -0.825 3.055 -0.942 -0.16 -1.31 -0.61
C -2.094 3.709 -1.287 -0.58 1.93 -0.55
C -1.733 4.895 -2.234 1.03 0.29 0.83
C -0.248 4.623 -2.509 0.47 0.00 -0.87
H -2.403 4.126 -0.334 -0.75 -0.54 -0.11
H -2.744 3.032 -1.835 -0.03 -0.49 0.78
H -1.778 5.816 -1.656 -0.19 0.01 -0.08
H -2.279 5.094 -3.152 -0.38 -0.71 0.14
H 0.341 5.413 -2.033 0.39 -0.20 0.01
H 0.068 4.589 -3.552 -0.15 0.03 -0.06
O -2.707 -0.570 0.193 0.54 -0.97 -1.17
C -2.786 0.114 1.202 -0.02 0.25 2.16
O -1.796 0.913 1.595 1.11 -0.52 -0.97
C -2.089 1.720 2.769 -1.97 0.50 -0.58
C -3.401 1.103 3.274 -0.11 0.54 1.29
C -3.908 0.138 2.220 0.81 -0.40 -0.76
H -2.221 2.735 2.392 0.07 0.01 0.03
H -1.354 1.746 3.570 0.56 -0.57 -0.58
H -4.143 1.839 3.580 0.08 0.13 -0.21
+++
Minutes of the Hopewell Presbytery of the Cumberland Presbyterian
Church, March 24, 1899, pages 4, 6, 7 & 17]
Milan not
Hopewell Presbytery
[Source: Minutes of the Hopewell Presbytery of the
Cumberland Presbyterian Church, September 28, 1899, page 4]
No list of
elder representatives in these minutes.
By the
action of the Synod of Tennessee on Presbyterial lines, at its
last meeting, ... That part of Gibson county east of the Mobile
& Ohio railroad, with Antioch, Beech Grove, Bradford, Chapel
Hill, Davidson's Chapel, Double Springs, Dyer, Friendship, Humboldt,
Medina, Milan, Pleasant Green, Pleasant Hill Congregations
... were transferred from the Hopewell Presbytery to this Presbytery.
Milan calls for the ministerial services of Rev. S.
A. Sadler for all of his time at a salary $550.00.
[Source: Minutes of the Obion Presbytery of the
Cumberland Presbyterian Church, March 8, 1900, pages 3 &
Milan not
Obion Presbytery
[Source: Minutes of the Obion Presbytery of the
Cumberland Presbyterian Church, September 14, 1900, page 5]
By action
of the Synod of Tennessee at Jackson, Tenn., Nov. 2, 1900, on
the change of Presbyterial lines, ... the following congregations
were transferred to the Hopewell Presbytery, viz: ... Antioch,
Gibson, Beech Grove, Bradford, Chapel Hill, Davidson's Chapel,
Double Springs, Friendship, Gibson, Medina, Milan, Pleasant
Green, and Pleasant Hill, Gibson.
Minutes of the Obion Presbytery of the Cumberland Presbyterian
Church, March 8, 1901, page 1]
Elder representative
- J. R. Harrison
Hopewell Presbytery
following congregations have ministerial services as shown below:
Church -- Milan. Minister, Rev. S. A. Saddler.
[Source: Minutes of the Hopewell Presbytery of the
Cumberland Presbyterian Church, March 22, 1901, pages 4, 5
& 19]
Elder representative
- A. M. Wilson
Hopewell Presbytery
was selected as the place for the Spring meeting and date set
on Friday, 7:30 p.m. before the Fourth Sunday in March, 1902.
[Source: Minutes of the Hopewell
Presbytery of the Cumberland Presbyterian Church, October
4, 1901, pages 3 & 5]
Elder representative
- W. C. Caldwell
Hopewell Presbytery - Held at
Milan Tennessee, March 21-24, 1902.
You will please
ratify the following contracts: Rev. F. H. Ford and Milan congregation,
salary $550 and use of Manse.
Elders and Deacons'
Association: A number of the Elders and Deacons of Hopewell Presbytery
met at the C. P. Church in Milan, Tenn., Friday, March 21, 1902,
2:30 p.m., and organized the Elders and Deacons' Association of
Hopewell Presbytery. J. R. Harrison, Vice-President-Milan.
[Source: Minutes of the Hopewell
Presbytery of the Cumberland Presbyterian Church, March 21,
1902, pages 2, 4 & 10]
Elder representative
- F. J. Moore
Hopewell Presbytery
[Source: Minutes of the Hopewell Presbytery of the
Cumberland Presbyterian Church, October 2, 1902, page 3]
The Hopewell
Presbytery met in called session at Milan, Tenn. March 9, 1903
[Source: Minutes of the Hopewell
Presbytery of the Cumberland Presbyterian Church, March 9
and 20-23, 1903, page 12]
Milan not
Hopewell Presbytery
[Source: Minutes of the Hopewell Presbytery of the
Cumberland Presbyterian Church, March 9 and 20-23, 1903, page
Elder representative
- F. J. Moore
Hopewell Presbytery
[Source: Minutes of the Hopewell Presbytery of the
Cumberland Presbyterian Church, October 2, 1903, page 2]
Elder representative
- J. R. Harrison
Hopewell Presbytery
[Source: Minutes of the Hopewell Presbytery of the
Cumberland Presbyterian Church, March 25, 1904, page 5]
Elder representative
- J. R. Harrison
Hopewell Presbytery
[Source: Minutes of the Hopewell Presbytery of the
Cumberland Presbyterian Church, March 24, 1905, page 2]
Elder representative
- S. J. Moore
Hopewell Presbytery
Milan; Session Clerk: J. R. Harrison; Minister: F. H. Ford
[Source: Minutes of the Hopewell
Presbytery of the Cumberland Presbyterian Church, September
28, 1905, pages 3 & 14]
Elder representative
- J. R. Harrison
Hopewell Presbytery
Milan; Session Clerk: J. R. Harrison; Minister: F. H. Ford
[Source: Minutes of the Hopewell
Presbytery of the Cumberland Presbyterian Church, March 20,
1906, pages 3 & 11]
The representation
of congregations was the same as that of the regular meeting of
Presbytery held in March 1906.
Molecular data from another source follow >
1.
One molecule with the formula C19H22N2O4S at a distorted geometry, computed with wB97M-V/def2-TZVPD.

XYZ file:
```
48
Properties=species:S:1:pos:R:3:forces:R:3
S -1.968 -1.249 -0.957 -0.21 0.31 0.23
O 5.032 -1.827 -0.221 -0.51 0.00 -0.07
O 4.020 1.525 0.473 0.24 0.12 0.06
O -1.240 -2.344 -0.371 -0.22 0.13 0.17
O -2.148 -1.247 -2.379 -0.09 0.24 -0.06
N -1.340 0.232 -0.531 -0.60 -0.89 -0.41
N 2.801 -0.287 -0.132 -0.17 -0.18 -0.06
C 7.186 -1.408 0.157 -0.28 -0.49 -0.16
C -0.872 1.826 1.245 -0.25 0.04 -0.15
C -6.003 -0.850 1.080 -0.01 -0.06 0.08
C 0.885 0.337 -1.522 -0.10 0.19 0.15
C -3.562 -1.127 -0.154 0.51 -0.15 -0.12
C 6.461 -0.213 0.357 -0.93 0.00 -0.12
C -0.527 0.937 -1.502 0.34 -0.06 -0.86
C -0.825 0.342 0.817 0.17 -0.32 0.76
C -4.445 -0.168 -0.611 -0.15 0.10 -0.08
C 3.956 0.346 0.174 -0.29 -0.26 -0.10
C -0.547 2.444 -1.166 -0.28 -0.04 0.13
C 5.147 -0.518 0.114 1.11 0.65 0.30
C -5.110 -1.810 1.529 -0.05 0.03 -0.01
C -1.370 2.700 0.095 0.17 0.10 0.05
C 0.584 -0.261 0.900 -0.05 0.12 -0.06
C -3.879 -1.951 0.908 0.16 -0.14 0.01
C 1.519 0.380 -0.129 -0.13 0.09 0.01
C 6.265 -2.349 -0.191 0.84 0.04 0.12
C -5.675 -0.030 0.010 0.09 0.03 -0.10
H 0.798 -0.705 -1.844 0.09 -0.04 -0.08
H -1.532 1.946 2.105 0.07 -0.01 0.05
H -5.372 -2.448 2.359 -0.01 -0.05 0.06
H -3.160 -2.690 1.225 0.04 -0.10 0.09
H 2.821 -1.268 -0.366 0.10 0.03 0.02
H -6.962 -0.742 1.563 -0.07 0.01 0.04
H 0.502 -1.329 0.691 0.10 0.03 0.09
H -0.971 3.006 -1.998 0.08 0.00 -0.04
H -0.999 0.752 -2.470 0.16 0.17 0.08
H 1.741 1.415 0.152 -0.08 -0.14 -0.06
H 6.840 0.747 0.640 0.00 0.24 0.06
H -4.157 0.445 -1.450 -0.05 0.16 -0.10
H -6.377 0.713 -0.337 -0.04 0.06 -0.04
H -1.301 3.753 0.375 -0.08 0.02 -0.01
H 0.987 -0.130 1.906 0.03 0.01 0.02
H 1.512 0.872 -2.237 0.04 -0.02 -0.02
H 0.471 2.802 -1.012 0.07 0.06 -0.04
H 0.124 2.154 1.543 0.05 0.02 0.08
H -1.496 -0.254 1.446 0.12 0.14 0.11
H -2.417 2.467 -0.104 -0.03 0.08 0.02
H 6.361 -3.390 -0.434 -0.10 -0.13 -0.04
H 8.242 -1.547 0.258 0.21 -0.11 0.00
```
Positions in Å, forces in eV/Å.

Results
Gap between HOMO and LUMO (eV): 9.6
LUMO (eV): 0.66

Charges in e, computed with natural (NBO), in the same order as the atoms: 2.324 -0.401 -0.624 -0.951 -0.940 -0.708 -0.605 -0.317 -0.406 -0.193 -0.415 -0.247 -0.242 -0.055 -0.053 -0.211 0.637 -0.414 0.153 -0.210 -0.393 -0.426 -0.219 -0.064 0.111 -0.199 0.210 0.218 0.221 0.244 0.406 0.218 0.232 0.219 0.244 0.232 0.245 0.235 0.219 0.215 0.218 0.221 0.206 0.205 0.220 0.204 0.206 0.232

=====

2.
A 2-piece molecular cluster, C2H5N3OS2 overall at a distorted geometry, computed with wB97M-V/def2-TZVPD.

XYZ file:
```
13
Properties=species:S:1:pos:R:3:forces:R:3
S 2.347 -1.074 -0.520 -1.79 0.18 0.90
S -2.602 -0.383 -0.563 -2.20 -3.23 -2.76
O 0.240 2.323 -0.751 -1.28 -0.59 5.86
N -0.552 1.409 0.211 -1.07 2.64 -0.33
N 1.384 0.407 -0.124 2.89 -0.19 0.72
N -1.531 -1.501 -0.015 4.78 2.24 3.29
C 0.187 0.304 0.351 0.51 -2.04 -0.39
C -0.377 -1.020 0.589 -3.30 -4.31 -1.40
H -3.222 -1.644 -1.331 0.60 3.26 1.44
So much for the molecular data >
Hopewell Presbytery
- Call Meeting
[Source: Minutes
of the Hopewell Presbytery of the Cumberland Presbyterian Church,
June 27, 1906, page 5]
Elder representative
- S. J. Moore
Hopewell Presbytery
[Source: Minutes of the Hopewell Presbytery of the
Cumberland Presbyterian Church, October 2, 1906, page 1]
Elder representative
- S. J. Moore
Hopewell Presbytery
[Source: Minutes of the Hopewell Presbytery of the
Cumberland Presbyterian Church, March 22, 1907, page 3]
Elder representative
- S. J. Moore
Hopewell Presbytery
[Source: Minutes of the Hopewell Presbytery of the
Cumberland Presbyterian Church, October 4, 1907, page 3]